The new “Data Management” selection will be available from within the admin site of MedMax.
When trying to access the page it will do a validation check to see if the user is allowed to access the page. If they are a
manager or above (user type) they will have access. Otherwise others will be denied access and receive the denied
access message in the system already. If they are allowed access, they will be able to enter the passphrase and be taken
to the next step, or request a passphrase.
The reason for this validation check and not just hiding it from the menu itself, is so admin users are aware the function
-- What comes next are records of crystals, not part of the entry --
+++
Entry 1:
LuMgFeBi: simulated PXRD pattern (CuKα), based on DFT lattice parameters and positions (PBE).

The 10 most intense peaks (2θ = 15–90°), by angle:
| d/Å | I (rel.) | h k l |
| --- | --- | --- |
| 4.075 | 46 | 1 1 1 |
| 2.495 | 100 | 2 2 0 |
| 2.128 | 26 | 3 1 1 |
| 1.764 | 18 | 4 0 0 |
| 1.619 | 11 | 3 3 1 |
| 1.441 | 36 | 4 2 2 |
| 1.358 | 9 | 5 1 1 |
| 1.248 | 11 | 4 4 0 |
| 1.193 | 9 | 5 3 1 |
| 1.116 | 17 | 6 2 0 |

Cell and atoms:
Cell lengths 7.0574, 7.0574, 7.0574 Å; angles 90.00, 90.00, 90.00 degrees
Space group F-43m (No. 216)
Symmetry-distinct sites (fractional):
Lu (0.0000, 0.0000, 0.0000) (multiplicity 4)
Mg (0.0000, 0.0000, 0.5000) (multiplicity 4)
Fe (0.2500, 0.2500, 0.2500) (multiplicity 4)
Bi (0.2500, 0.2500, 0.7500) (multiplicity 4)

=====

Entry 2:
MgZrFeBi: simulated PXRD pattern (CuKα), based on DFT lattice parameters and positions (PBE).

The 10 most intense peaks (2θ = 15–90°), by angle:
| d/Å | I (rel.) | h k l |
| --- | --- | --- |
| 3.967 | 53 | 1 1 1 |
| 3.435 | 5 | 2 0 0 |
| 2.429 | 100 | 2 2 0 |
| 2.071 | 29 | 3 1 1 |
| 1.718 | 17 | 4 0 0 |
| 1.576 | 13 | 3 3 1 |
| 1.402 | 35 | 4 2 2 |
| 1.322 | 10 | 5 1 1 |
| 1.215 | 11 | 4 4 0 |
| 1.161 | 10 | 5 3 1 |

Cell and atoms:
Cell lengths 6.8703, 6.8703, 6.8703 Å; angles 90.00, 90.00, 90.00 degrees
Space group F-43m (No. 216)
Symmetry-distinct sites (fractional):
Mg (0.0000, 0.0000, 0.0000) (multiplicity 4)
Zr (0.2500, 0.2500, 0.2500) (multiplicity 4)
Fe (0.2500, 0.2500, 0.7500) (multiplicity 4)
Bi (0.0000, 0.0000, 0.5000) (multiplicity 4)

=====

Entry 3:
ScNbFeBi: simulated PXRD pattern (CuKα), based on DFT lattice parameters and positions (PBE).

The 10 most intense peaks (2θ = 15–90°), by angle:
| d/Å | I (rel.) | h k l |
| --- | --- | --- |
| 3.844 | 39 | 1 1 1 |
| 3.329 | 7 | 2 0 0 |
| 2.354 | 100 | 2 2 0 |
| 2.008 | 22 | 3 1 1 |
| 1.665 | 17 | 4 0 0 |
| 1.528 | 10 | 3 3 1 |
| 1.359 | 34 | 4 2 2 |
| 1.281 | 7 | 5 1 1 |
| 1.177 | 11 | 4 4 0 |
| 1.125 | 8 | 5 3 1 |

Cell and atoms:
Cell lengths 6.6583, 6.6583, 6.6583 Å; angles 90.00, 90.00, 90.00 degrees
Space group F-43m (No. 216)
Symmetry-distinct sites (fractional):
Sc (0.0000, 0.0000, 0.0000) (multiplicity 4)
Nb (0.2500, 0.2500, 0.2500) (multiplicity 4)
Fe (0.2500, 0.2500, 0.7500) (multiplicity 4)
Bi (0.0000, 0.0000, 0.5000) (multiplicity 4)
+++
exists, but they may just not have permissions to run the functionality.
Requesting the passphrase will prompt the message below.
[Crystal structures that have nothing to do with the article]
-- begin --
This entry pairs a crystal structure of TbPrNd6Y2 with its simulated powder XRD pattern. Radiation: Cu Kα, 1.54184 Å. Structure: a crystal structure in Alexandria, relaxed with PBE.

Largest 8 diffraction maxima, in order of falling intensity, 2θ from 15° to 90°:
- 2θ 30.61, d 2.921, intensity 1000, hkl 2 2 2
- 2θ 30.12, d 2.967, intensity 654, hkl 0 2 3
- 2θ 29.68, d 3.010, intensity 617, hkl 3 1 -1
- 2θ 27.95, d 3.193, intensity 442, hkl 1 3 2
- 2θ 30.84, d 2.899, intensity 398, hkl 2 4 -1
- 2θ 33.26, d 2.694, intensity 337, hkl 1 3 -3
- 2θ 33.89, d 2.645, intensity 237, hkl 2 2 -3
- 2θ 31.67, d 2.825, intensity 228, hkl 1 5 -1

Structure:
a = 9.3861 Å, b = 15.3719 Å, c = 9.7309 Å
α = 90.00°, β = 97.20°, γ = 90.00°
Space group C2/c (No. 15)
Asymmetric unit:
Tb: 0.0000 0.0322 0.2500 x4
Pr: 0.0000 0.4067 0.7500 x4
Nd: 0.0644 0.1751 0.9431 x8
Nd: 0.0956 0.3902 0.1189 x8
Nd: 0.2093 0.2252 0.3159 x8
Y: 0.2447 0.0473 0.5477 x8

~~~~~

Entry 1:
Mn5BPd15: simulated powder diffraction line list (λ = 1.5418 Å (Cu Kα)), based on a cell relaxed with PBE.
Intensities are scaled so that the largest is 100.

Crystal structure
```
data_Mn5BPd15
_chemical_formula_sum 'Mn5 B1 Pd15'
_cell_length_a 4.045
_cell_length_b 4.045
_cell_length_c 19.321
_cell_angle_alpha 90.00
_cell_angle_beta 90.00
_cell_angle_gamma 90.00
_space_group_name_H-M_alt 'P 4/m m m'
_space_group_IT_number 123
_space_group_name_Hall '-P 4 2'
loop_
_atom_site_label
_atom_site_fract_x
_atom_site_fract_y
_atom_site_fract_z
Mn1 0.000 0.000 0.000
Mn2 0.000 0.000 0.196
Mn3 0.000 0.000 0.390
B1 0.500 0.500 0.500
Pd1 0.000 0.500 0.098
Pd2 0.000 0.500 0.294
Pd3 0.000 0.500 0.500
Pd4 0.500 0.500 0.000
Pd5 0.500 0.500 0.195
Pd6 0.500 0.500 0.393
```

Top 10 peaks for 10° ≤ 2θ ≤ 80°, by intensity:
2θ/deg  d [Å]  I (rel.)  (hkl)
39.19  2.299  100  1 1 5
44.82  2.022  35  2 0 0
78.82  1.214  24  3 1 5
66.98  1.397  18  2 0 10
47.03  1.932  14  0 0 10
65.24  1.430  11  2 2 0
21.98  4.045  5  1 0 0
32.03  2.794  3  1 0 5
23.02  3.864  2  0 0 5
31.27  2.860  2  1 1 0

***

Entry 2:
Sc2MnB2Rh5: simulated powder diffraction line list (λ = 1.5418 Å (Cu Kα)), based on a cell relaxed with PBE.
Intensities are scaled so that the largest is 100.

Crystal structure
```
data_Sc2MnB2Rh5
_chemical_formula_sum 'Sc4 Mn2 B4 Rh10'
_cell_length_a 9.407
_cell_length_b 9.407
_cell_length_c 3.065
_cell_angle_alpha 90.00
_cell_angle_beta 90.00
_cell_angle_gamma 90.00
_space_group_name_H-M_alt 'P 4/m b m'
_space_group_IT_number 127
_space_group_name_Hall '-P 4 2ab'
loop_
_atom_site_label
_atom_site_fract_x
_atom_site_fract_y
_atom_site_fract_z
Sc1 0.176 0.324 0.000
Mn1 0.000 0.000 0.000
B1 0.124 0.624 0.000
Rh1 0.000 0.500 0.500
Rh2 0.071 0.782 0.500
```

Top 10 peaks for 10° ≤ 2θ ≤ 80°, by intensity:
2θ/deg  d [Å]  I (rel.)  (hkl)
42.34  2.135  100  3 1 1
39.50  2.282  78  4 1 0
36.26  2.477  53  2 1 1
29.13  3.065  50  0 0 1
43.00  2.104  49  4 2 0
45.66  1.987  49  3 2 1
34.37  2.609  35  3 2 0
40.00  2.254  33  2 2 1
-- stop --
[Back to the article]
Each passphrase will be accessed to jay, ted, chris, (opal team) and deb for now. Separate emails indicating the
passphrase as well as who made the request.
Once gaining the passphrases the user will be able to enter the passphrases and click submit. Passphrases are only good
for a onetime use, then a new request will need to be made.
The user now has access to extract the data.
The user starts by selecting if it is a test or live data run. If test there is no delete code generated.
After selecting the type of extraction, a new drop down appears asking for the client name to be extracted. Then they
click Extract Data.
If it is a test run that is all that can be done other than extract data again.
Once the process starts a progress bar will appear.
We take our first guess at the time by looking at the number of files to be extracted and estimate about 100 records per
minute, and then update the progress bar and time at regular intervals throughout the extraction process.
If selecting LIVE as the extraction type we have a lot more steps and functionality.
The user sees selecting LIVE will lock all cardholders and administers from making any transactions for that client until 11
pm that evening. At that time if the data has not been deleted the cardholders will be activated again.
After selecting LIVE a pop-up displays letting them know that the users will be locked out of the system until the data
has been extracted entirely. Would you like to continue? Yes or no checkbox. Select no then close the pop-up,
If yes, show new text in pop-up that Let them know on the screen in red that selecting LIVE will lock all cardholders and
administers from making any transactions for that client until 11 pm that evening. At that time if the data has not been
deleted the cardholders will be activated again. Do you wish to continue YES or NO. No closes pop-up, Yes allows them
to continue and select the Extract Data button.
Once selected for extraction a delete code will be emailed to jay, ted, chris (opal team) and deb kelly. And display the
message on the screen in red that the deletion code was emailed to dkelly, etc. Same as on the previous passphrase
screens above.
After the process runs the user will have the opportunity to enter the delete code that was emailed to them. Or in the
alternative a new delete code can be requested.
If a new code is requested from this screen a new message appears.
Once entering
After entering the deletion code in the text box, only then does the delete data button appear.
Once clicking the delete data button they get a pop-up warning them about the permanent deletion process. Verify
with yes or no to delete the data.
Since this is a permanent process we will ask for a second verification and provide a second warning that the action is
┌──
The following is a computed XRD peak list of MgNi2O5. It was derived from a structure optimized by DFT (GGA+U), using CuKα.
Kinematic intensities with the Lorentz-polarization factor, no thermal factor.

Structure:
Cell: 3.129 11.030 5.302 Å, 90.00 90.00 90.00°
Fractional positions:
Mg 0.250 0.250 0.121
Mg 0.750 0.750 0.879
Ni 0.250 0.604 0.457
Ni 0.250 0.896 0.457
Ni 0.750 0.104 0.543
Ni 0.750 0.396 0.543
O 0.250 0.055 0.338
O 0.250 0.445 0.338
O 0.250 0.682 0.125
O 0.250 0.750 0.626
O 0.250 0.818 0.125
O 0.750 0.182 0.875
O 0.750 0.250 0.374
O 0.750 0.318 0.875
O 0.750 0.555 0.662
O 0.750 0.945 0.662

Peak list (12 most intense, 10° ≤ 2θ ≤ 90°, sorted by position)
| Position (°2θ) | intensity | h k l |
| --- | --- | --- |
| 16.72 | 100 | 0 0 1 |
| 23.27 | 35 | 0 2 1 |
| 29.68 | 32 | 1 1 0 |
| 33.25 | 25 | 1 0 1 |
| 33.81 | 13 | 0 0 2 |
| 34.26 | 33 | 1 1 1 |
| 36.74 | 26 | 0 4 1 |
| 37.76 | 17 | 1 3 0 |
| 41.55 | 18 | 1 3 1 |
| 47.91 | 19 | 1 2 2 |
| 51.58 | 21 | 1 3 2 |
| 69.05 | 22 | 1 7 1 |
└──
not reversible.
NO just closes the pop-up window, and YES starts the deletion process and returns a progress screen.